Intro to Sociology Exam 2 Flashcards
Why are children who have been raised in isolation considered not to be human beings by many social scientists?
They have been deprived of social interation
Facial expressions are an example of…?
Non-verbal communication
One’s position in a social group is called one’s…?
Which is an ascribed status…?
Cop or a friend
Role Conflict
A set of expected behavior patterns, obligations and privileges attached to a particular social status is a…?
Making the values of the group part of your own personality is called…?
An already socialized individual who decides to learn a specific activity is experiencing…?
Secondary socialization
Which is an agent of socialization
Family, Friends, Media (All of the Above)
of all our statuses, one is usually more important to us than the others. This is referred to as our…?
Master Status
Which agent of socialization has the most constant influence over an individual’s life, through the individual’s lifetime?
Viewing social situation s as though they are theatrical performances is known as…?
Learning to view ourselves as others view us is the basic premise of…?
Cooley’s Looking-Glass Self
George Herbert Mead Theory
Social deviance is…?
Violation of the cultural norms of a group or all of society
Individuals do not become human beings unless they…?
interact with other people
People born on the Fourth of July…
A category
Three students study, eat lunch, discuss are an example of…?
A social group
The most important factor for determining whether a collection of people is a social group is…?
Symbolic Interaction
Goal-oriented, impersonal, usually large, are characteristics of a…?
Secondary group
Which is NOT an example of a primary group?
Trade union
Research findings indicate that…?
Anyone can become a leader depending upon the needs of the group.
The mother who offers sympathy shows what leadership role?
The type of person who becomes a leader in a social group has a lot to do with…?
The particular characteristics and needs of the group itself.
As a member of the Boston Red Soc, Dustin Pedroia would consider the New York Yankees as…?
An outgroup
Sociologically speaking, a woman who wanted a career in the 1920’s was considered deviant, but not today, because…?
Our culture’s norms have changed over time
Research on conformity has shown that…?
People feel pressure to conform even when they’re with people they don’t know
Which is NOT an example of social deviance?
A high school education
Sociologists feel that deviance is…?
A product of society
Since deviance is related to patterns of social power, who is more likely to be defined as deviant by society?
A homeless person
When people stifle their opinions…
According to Labeling Theory, violation of cultural norms or laws is not enough to be considered deviant. The violator must also…?
Be defined as deviant by others
Primary groups are…?
based on loyalty and emotional bonds
A condition that does not satisfy a group of people being considered a social group.
Members showing genuine affection for one another
== Attached: records of crystals ==
........
No. 1
# Mg7Si4 (PBE, relaxed)
# E (MP2020) in eV per atom: -2.883
# Polymorph energy (0 for the lowest one) in eV/atom: 0.058
# Size of the total moment in Bohr magnetons per cell: 0.0
# ΔH_f (0 K) in eV per atom: 0.1082
data_Mg7Si4
_cell_length_a 5.173
_cell_length_b 6.206
_cell_length_c 14.415
_cell_angle_alpha 83.91
_cell_angle_beta 80.07
_cell_angle_gamma 78.51
_space_group_name_H-M_alt 'P 1'
_space_group_IT_number 1
loop_
_space_group_symop_operation_xyz
'x,y,z'
loop_
_atom_site_label
_atom_site_type_symbol
_atom_site_fract_x
_atom_site_fract_y
_atom_site_fract_z
Mg1 Mg 0.827 0.791 0.545
Si1 Si 0.371 0.433 0.277
Mg2 Mg 0.870 0.681 0.004
Si2 Si 0.096 0.132 0.752
Si3 Si 0.700 0.367 0.129
Si4 Si 0.245 0.958 0.598
Si5 Si 0.376 0.015 0.276
Mg3 Mg 0.797 0.197 0.942
Mg4 Mg 0.310 0.422 0.853
Si6 Si 0.782 0.481 0.724
Mg5 Mg 0.250 0.249 0.080
Mg6 Mg 0.368 0.908 0.903
Mg7 Mg 0.904 0.317 0.524
Mg8 Mg 0.477 0.169 0.442
Si7 Si 0.740 0.967 0.140
Mg9 Mg 0.897 0.314 0.296
Mg10 Mg 0.625 0.072 0.702
Mg11 Mg 0.311 0.515 0.638
Mg12 Mg 0.420 0.673 0.426
Si8 Si 0.906 0.779 0.815
Mg13 Mg 0.295 0.751 0.125
Mg14 Mg 0.931 0.810 0.316


No. 2
# Pb4CCl6O4 (PBE, relaxed)
# E (MP2020) in eV per atom: -4.838
# Size of the total moment in Bohr magnetons per cell: 4.0
# ΔH_f (0 K) in eV per atom: -1.1734
data_Pb4CCl6O4
_cell_length_a 9.333
_cell_length_b 4.260
_cell_length_c 16.596
_cell_angle_alpha 86.80
_cell_angle_beta 90.00
_cell_angle_gamma 90.00
_space_group_name_H-M_alt 'P 1'
_space_group_IT_number 1
loop_
_space_group_symop_operation_xyz
'x,y,z'
loop_
_atom_site_label
_atom_site_type_symbol
_atom_site_fract_x
_atom_site_fract_y
_atom_site_fract_z
Cl1 Cl 0.472 0.734 0.583
O1 O 0.750 0.821 0.785
O2 O 0.128 0.790 0.279
O3 O 0.750 0.249 0.545
Cl2 Cl 0.028 0.734 0.583
O4 O 0.372 0.790 0.279
O5 O 0.628 0.210 0.721
O6 O 0.872 0.210 0.721
O7 O 0.250 0.751 0.455
Cl3 Cl 0.449 0.730 0.085
Cl4 Cl 0.250 0.760 0.892
C1 C 0.750 0.091 0.742
Cl5 Cl 0.972 0.266 0.417
Pb1 Pb 0.494 0.683 0.763
Pb2 Pb 0.006 0.683 0.763
Pb3 Pb 0.506 0.317 0.237
C2 C 0.250 0.909 0.258
Cl6 Cl 0.750 0.240 0.108
Pb4 Pb 0.750 0.763 0.474
Pb5 Pb 0.250 0.248 0.013
Pb6 Pb 0.250 0.237 0.526
Pb7 Pb 0.994 0.317 0.237
O8 O 0.250 0.179 0.215
Cl7 Cl 0.949 0.270 0.915
Cl8 Cl 0.528 0.266 0.417
Cl9 Cl 0.750 0.787 0.289
Cl10 Cl 0.051 0.730 0.085
Pb8 Pb 0.750 0.752 0.987
Cl11 Cl 0.250 0.213 0.711
Cl12 Cl 0.551 0.270 0.915


No. 3
# MgSi2 (PBE, relaxed)
# E (MP2020) in eV per atom: -4.015
# Polymorph energy (0 for the lowest one) in eV/atom: 0.058
# Size of the total moment in Bohr magnetons per cell: 0.0
# ΔH_f (0 K) in eV per atom: 0.1353
data_MgSi2
_cell_length_a 5.554
_cell_length_b 5.554
_cell_length_c 12.307
_cell_angle_alpha 71.96
_cell_angle_beta 71.96
_cell_angle_gamma 38.86
_space_group_name_H-M_alt 'P 1'
_space_group_IT_number 1
loop_
_space_group_symop_operation_xyz
'x,y,z'
loop_
_atom_site_label
_atom_site_type_symbol
_atom_site_fract_x
_atom_site_fract_y
_atom_site_fract_z
Si1 Si 0.044 0.044 0.327
........
When a leader includes group members in the decision making process, he or she is employing which leadership style?
By acting a certain way so that people will perceive us the way we want them to perceive us, we are employing…?
Impression managment
When we shape our behavior in a way that we think a particular group would consider acceptable, we are using that group as a…?
Reference group
The two smallest groups are called…?
Dyads and triads
Mental Illness is considered a form of deviance because…?
It violates the cultural norm of mental health
According to Labeling Theory, someone embarks on a deviant career…
When a negative social label becomes part of their self-concept and personality